PCB (2018-2024), funded by the Embassy of Ireland in Kenya, was designed to improve the livelihoods of small-scale farmers and families through the adoption of new technologies, including certified potato seed and new varieties, good agricultural practices (GAPs), improved farm management skills, and market access.
PCB Components
Strengthening the Potato Seed Production and Supply Chain
Availability and affordability of clean certified seed is arguably one of the greatest challenges in the potato value chain, especially for processors. The project explored innovative models for creating demand for last-mile input delivery, including seed, fertilizer, and agro-chemicals.
Farmer Education
Practical, hands-on training programs equipped trainees with knowledge about various superior potato varieties, water and soil management methods, quality control, post-harvest handling, and other areas using field demonstration plots.
Demand-Driven Extension Services
Training was conducted by experts from the Ministry of Agriculture, research agencies, and the agri-food industry, embracing a hands-on practical training model to develop skills, particularly for youth and women, in potato production areas. The project also trained select lead farmers on topics such as GAPs, spray service provision, etc., to create a backup to the government extension system. This was to improve the quality of extension services and gradually build up a cadre of trained and well-equipped extension/technician agents. It was also to create farmer demand for professional extension services.
The project explored innovative models for creating demand for last-mile input delivery, including seed, fertilizer, and agro-chemicals.
Increasing Market Knowledge and Access
The project worked with various partners to avail market information to farmers through interactive and innovative channels, train and facilitate linkages with formal and informal markets, and determine how to sustain these linkages and relationships.
Facilitating Access to Finance
The project facilitated linkages between farmers and financial institutions that customized products to suit farmers’ needs and capabilities. This was coupled with training and promoting local solutions using practical group savings and lending models.
Institutional Capacity Building
Efficiencies along the seed certification process need to be improved to ensure adequate production and efficient distribution of seed for processing varieties. The project facilitated knowledge-sharing, research and capacity building of government research institutions and regulatory bodies, such as KEPHIS, through exchange programs, and joint research and formal training in partnership with institutions from Ireland, such as Teagasc and Sustainable Food Systems Ireland (SFSI).

The overall goal of this project is to improve the incomes of smallholder farmers and strengthen agribusiness linkages between Kenya and Ireland. Specifically, the project aims to:
- More than 12,000 farmers participated in field days to learn about yield-enhancing technologies, nutrition, and other relevant topics.
- Project farmers to attained a remarkable yield advantage over the local practices, and yield increased from 34 50-kg bags to 90 50-kg bags, translating to a 165% increase in production.
- Demand for certified seed grew, with its use in Nyandarua rising from 7% to more than 18% in 2022.
- Sustainable Food Systems Ireland (SFSI)
- County Government of Nyandarua
- National Potato Council of Kenya (NPCK)
- Teagasc
- Kirinyaga Seed Limited (IPM Potato Group and Kevian Kenya Limited)
- International Institute of Tropical Agriculture (IITA)
- International Center for Insect Physiology and Ecology (icipe)
Misplaced molecular data.
-- begin --
(1)
Formula: C6H16N3Pb
Source: the OMol25 dataset
Level of theory: ωB97M-V/def2-TZVPD

Element x y z (Å)
C 0.030 -2.858 -1.531
Pb 0.221 -1.100 -2.509
N 1.066 1.950 -2.101
H -1.006 -0.062 -3.301
H 0.246 2.410 -1.715
H 1.885 -1.189 -2.451
H -0.044 -3.367 -2.475
H -0.795 -2.742 -0.800
H 1.020 -3.209 -1.250
H 1.782 1.984 -1.380
H 1.406 2.522 -2.871
C -2.523 1.344 2.304
C -1.346 0.745 1.648
C -0.078 0.387 2.147
C 0.663 -0.141 1.091
N -0.135 -0.123 -0.003
N -1.331 0.428 0.364
C 2.060 -0.587 1.116
H -2.943 0.660 3.061
H -2.260 2.276 2.831
H -3.324 1.581 1.583
H 0.240 0.541 3.139
H -2.068 0.602 -0.339
H 2.644 0.199 1.556
H 2.165 -1.451 1.744
H 2.425 -0.801 0.142

Its multiplicity is 1. The HOMO-LUMO gap is 8.74 eV. The electronic energy comes out at -594.96193 Eh. The molar mass comes out at 337.415 u. The net charge is +1.



(2)
Formula: C24H19BF2N4ORhS
Source: the OMol25 dataset
Level of theory: ωB97M-V/def2-TZVPD

Element x y z (Å)
Rh 0.371 0.383 -0.612
N -0.826 -1.466 -0.573
C -1.072 -1.835 0.783
C -2.399 -2.024 1.152
C -2.752 -2.306 2.457
C -1.751 -2.401 3.409
C -0.433 -2.202 3.037
C -0.034 -1.920 1.724
C 1.412 -1.615 1.445
C 2.331 -1.900 2.392
C 3.731 -1.537 2.256
C 4.143 -0.692 1.310
C 3.160 -0.118 0.336
C 1.906 -0.989 0.161
H -1.690 -1.396 -1.097
H -0.213 -2.120 -1.044
H -3.166 -1.928 0.392
H -3.793 -2.437 2.724
H -1.992 -2.597 4.446
H 0.313 -2.215 3.817
H 2.056 -2.416 3.301
H 4.434 -1.942 2.976
H 5.179 -0.379 1.243
H 3.633 -0.030 -0.647
C -2.369 3.901 2.181
C -2.818 4.293 0.900
C -2.379 3.588 -0.195
C -1.517 2.504 -0.030
C -1.049 2.076 1.251
C -1.521 2.845 2.363
N -0.991 1.765 -1.094
N -1.341 1.972 -2.279
C -0.662 1.091 -3.159
C -1.013 1.145 -4.501
C -0.395 0.293 -5.404
C 0.568 -0.591 -4.941
C 0.916 -0.627 -3.590
C 0.322 0.208 -2.644
H -2.701 4.462 3.048
H -3.475 5.144 0.785
H -2.676 3.863 -1.199
H 0.123 0.834 2.242
H -1.186 2.568 3.356
H -1.769 1.853 -4.818
H -0.659 0.323 -6.454
H 1.067 -1.256 -5.637
H 1.699 -1.313 -3.297
O 2.850 1.211 0.763
S 1.990 1.984 -0.474
N -0.248 1.025 1.321
F 3.156 -1.958 -1.829
B 2.175 -2.025 -0.915
F 1.355 -3.093 -1.136

Its multiplicity is 1. The HOMO-LUMO gap (alpha / beta) is 6.37 / 6.37 eV. The electronic energy comes out at -1953.72909 Eh. The molar mass comes out at 563.224 u. The net charge is -1.



(3)
Formula: C3H8I2NO
Source: the OMol25 dataset
Level of theory: ωB97M-V/def2-TZVPD

Element x y z (Å)
C 2.182 -0.078 -0.596
C 1.035 -0.551 0.274
C -1.353 -0.096 0.740
N -0.144 0.221 -0.062
O -2.579 1.673 0.073
I -2.573 -1.618 0.132
I -4.324 1.109 -0.281
H 2.394 0.885 -0.564
H 2.961 -0.818 -0.349
H 1.800 -0.307 -1.599
H 1.404 -0.375 1.318
H 1.025 -1.561 -0.026
H -1.322 0.002 1.737
H 0.081 1.211 0.258
H -0.588 0.304 -1.054

Its multiplicity is 1. The HOMO-LUMO gap (alpha / beta) is 7.15 / 6.97 eV. The electronic energy comes out at -844.04021 Eh. The molar mass comes out at 327.911 u. The net charge is +1.



Question: Among the records above, which one has the lowest molar mass?
Answer: C3H8I2NO
-- stop --
- Kenya Plant Health Inspectorate Services (KEPHIS)
- Kenya Agriculture and Livestock Research Organization (KALRO)
- Toyota Tshusho Fertilizer Africa (TTFA)
- Yara East Africa
- Held 12 field days across Nyandarua County, reaching 1,050 farmers.
- Trained 144 lead farmers to become customer agents as well as aggregation sale agents for IPM Kenya; as a result, these lead farmers have in turn trained 1,813 others.
- Provided 564 farmers access to certified seeds by implementing the extension and marketing strategy by IPM Kenya.
- Reduced post-harvest losses from 8% to 4.6%.
- Trained two community-based organizations (CBOs) on aggregation, contract creation, and negotiation skills.
- Trained 1,139 farmers on the use of market information systems such as ViaziSoko.
Quantum chemistry results from another source follow =
-- begin --
No. 1
# C63H68FIN5O9PS2Sn

A structure of composition C63H68FIN5O9PS2Sn at a distorted geometry (the ωB97M-V functional and the def2-TZVPD basis, the Open Molecules 2025 dataset).

Positions of all 151 atoms, in Å:
Sn: 0.79 -2.71 0.29
F: -5.59 4.12 1.87
C: -4.94 3.65 0.74
C: -3.67 2.94 1.08
C: -3.83 1.07 -0.57
C: -3.12 -0.10 -0.68
O: -2.83 -0.65 0.52
C: -2.75 -0.61 -1.95
C: -3.21 0.12 -3.00
N: -3.91 1.28 -2.91
C: -4.32 1.96 -4.10
C: -3.50 1.91 -5.36
C: -3.58 3.18 -4.57
C: -4.24 1.86 -1.67
C: -4.92 3.06 -1.64
C: -5.47 3.78 -0.50
N: -6.54 4.66 -0.76
C: -7.15 4.68 -2.08
C: -6.46 5.51 -3.10
N: -6.73 7.80 -1.38
C: -7.44 7.04 -0.36
C: -6.68 5.81 0.13
C: -1.67 -1.67 -2.21
O: -1.80 -2.34 -3.24
O: -0.69 -1.63 -1.42
H: -3.45 3.14 2.13
H: -3.00 -0.23 -4.00
H: -5.40 1.96 -4.23
H: -4.04 1.84 -6.29
H: -2.56 1.37 -5.35
H: -4.15 4.01 -4.95
H: -2.70 3.46 -4.00
H: -5.08 3.55 -2.58
H: -8.20 4.99 -2.00
H: -7.19 3.62 -2.39
H: -7.02 5.98 -3.90
H: -5.42 5.77 -2.98
H: -7.21 8.67 -1.57
H: -5.79 8.02 -1.07
H: -8.41 6.75 -0.77
H: -7.64 7.64 0.55
H: -7.19 5.49 1.05
H: -5.67 6.14 0.43
O: 5.20 -3.66 0.71
S: 4.11 -3.71 -0.24
O: 3.82 -2.42 -0.89
O: 2.88 -4.26 0.31
C: 4.66 -4.80 -1.52
C: 5.81 -5.55 -1.38
C: 6.17 -6.47 -2.35
C: 5.37 -6.61 -3.48
C: 4.23 -5.84 -3.64
C: 3.86 -4.91 -2.66
S: 1.11 -4.88 -2.68
O: 2.79 -4.13 -2.81
O: 1.38 -6.30 -2.51
O: 0.54 -4.28 -1.45
H: 6.41 -5.38 -0.49
H: 7.05 -7.08 -2.23
H: 5.64 -7.33 -4.25
H: 3.60 -5.96 -4.51
C: 1.38 3.08 1.36
C: 0.76 1.77 0.86
C: 1.20 1.45 -0.57
C: -0.76 1.79 0.94
C: -1.32 2.90 0.18
C: -2.54 3.44 0.23
C: -3.90 1.43 0.88
C: -2.91 0.44 1.50
C: -3.40 -0.12 2.85
C: -3.24 0.92 3.95
C: -4.85 -0.61 2.82
C: -1.42 0.81 1.61
N: -0.84 -0.27 2.27
C: -0.17 -0.15 3.36
C: 0.11 -1.23 4.23
C: 0.62 -1.08 5.54
C: 0.48 -2.31 6.15
C: -0.10 -3.17 5.19
N: -0.30 -2.53 4.03
C: -0.51 -4.60 5.49
C: -1.50 -4.59 6.67
C: -1.20 -5.24 4.29
C: 0.75 -5.39 5.88
H: 2.47 3.00 1.36
H: 1.04 3.31 2.37
H: 1.11 3.91 0.71
H: 1.14 0.96 1.49
H: 0.96 2.27 -1.26
H: 0.71 0.54 -0.92
H: 2.28 1.30 -0.61
H: -0.62 3.39 -0.48
H: -2.76 4.29 -0.41
H: -4.91 1.21 1.26
H: -2.76 -0.98 3.06
H: -4.04 1.66 3.89
H: -2.29 1.44 3.87
H: -3.29 0.44 4.93
H: -5.56 0.21 2.87
H: -5.03 -1.27 3.67
H: -5.05 -1.18 1.91
H: 0.08 0.85 3.74
H: 0.99 -0.16 5.99
H: 0.77 -2.57 7.16
H: -2.37 -3.98 6.41
H: -1.05 -4.17 7.57
H: -1.84 -5.61 6.89
H: -2.03 -4.61 3.99
H: -1.57 -6.24 4.54
H: -0.50 -5.33 3.46
H: 1.21 -4.96 6.77
H: 1.48 -5.34 5.07
H: 0.52 -6.44 6.08
C: 5.88 4.37 -0.73
C: 5.44 3.65 0.37
C: 4.99 2.35 0.22
C: 4.97 1.72 -1.04
C: 5.35 2.48 -2.14
C: 5.82 3.78 -1.99
P: 4.32 -0.04 -1.00
C: 4.41 -0.46 -2.79
C: 5.51 -0.30 -3.63
C: 5.46 -0.73 -4.96
C: 4.32 -1.32 -5.46
C: 3.20 -1.46 -4.64
C: 3.25 -1.03 -3.33
C: 5.88 -0.70 -0.26
C: 5.97 -0.61 1.13
C: 7.10 -1.03 1.80
C: 8.17 -1.56 1.10
C: 8.06 -1.73 -0.28
C: 6.92 -1.31 -0.95
H: 6.24 5.38 -0.62
H: 5.44 4.11 1.36
H: 4.63 1.80 1.08
H: 5.29 2.07 -3.13
H: 6.13 4.35 -2.86
H: 6.42 0.15 -3.26
H: 6.33 -0.60 -5.59
H: 4.29 -1.67 -6.48
H: 2.30 -1.93 -5.02
H: 2.38 -1.15 -2.70
-- stop --
The piece goes on =
- Over 960 smallholder farmers have improved on the productivity and profitability farming hence increased food and nutrition security.
- 960 (76% women) people have better knowledge and understanding of nutrition, healthy diets and hygiene .
- Over 2,900 farmers have improved their understanding on importance of crop rotation and diversification of crops towards achieving climate smart agricultural practices.
- Through adoption of new and improved technologies in potato production, farmers have seen a 60% increase in productivity thus enhanced food security, increased income and improved livelihoods.
- PCB trained 42 lead farmers (21 female and 21 male) as ToTs to cascade knowledge on kitchen gardening activities, crop rotation, water harvesting technologies and climate smart agriculture.
- Over 122 farmers were facilitated to attend exposure visits such as peer to peer learnings, national, African Region and World potato conferences in Nairobi, Malawi and Ireland, and exchange learnings with the processors.
- Supported 2 youth groups with 800kgs of pre-basic potato seeds (planting material with very high genetic material free of pests and diseases). Through the engagement, over 6 tonnes of clean seed were realized by the end of the cropping season.
- Enabled about 900 smallholder farmers to realize their full potential and reap the benefits of potato farming as a business by linking them with buyers.
- Facilitated the delivery of approximately 250 mt of potato, worth nearly U.S. $50,000, to processing markets through contract farming.
- Reached 1,929 farmers (66% female) directly and another 2,255 indirectly through field days.
- Trained over 1,900 smallholder farmers on proper feeding of infants, integration of kitchen gardening practices, and food diversification strategies.
- Mobilized over €300,000 in 2021 from the public and private sectors.
- Reached 1,558 farmers (56% female) using the Farmer Field Business School training model.
_Here the text breaks off for data records_
Computed, not measured: 2 unconnected molecules or ions with the total composition C10H24N3, with the ωB97M-V functional and the def2-TZVPD basis.

Last column: Löwdin charge in e.
CARTESIAN COORDINATES (ANGSTROEM)
C: -1.6640 1.0576 1.7819  0.107
C: -1.5529 0.8221 0.4140  -0.100
C: 1.9438 -3.2337 2.5326  -0.051
C: 1.5384 3.8907 -0.2982  -0.094
C: -1.7532 -2.2788 -1.3749  -0.013
C: -1.9542 0.0273 -2.3282  -0.045
C: 2.0457 -1.9486 1.6181  -0.211
C: 0.2281 3.0546 -0.4806  -0.303
C: -1.0915 -0.8563 -1.4208  -0.329
C: -0.8156 -0.3350 -0.0527  -0.186
N: 0.9671 -1.8871 0.6652  -0.010
N: 0.1142 -0.8099 0.7759  0.086
N: 0.6249 1.7614 -1.0736  -0.018
H: -2.1262 1.9513 2.1829  0.080
H: -1.3772 0.2789 2.4820  0.066
H: -1.9188 1.4523 -0.3534  0.088
H: 1.4917 -3.2702 3.4665  0.045
H: 1.3908 -3.9397 1.8751  0.084
H: 2.9646 -3.5809 2.5126  0.067
H: 2.2396 3.2468 0.3589  0.100
H: 2.0236 4.0625 -1.2301  0.058
H: 1.2420 4.7619 0.2551  0.059
H: -1.8294 -2.7871 -2.3436  0.098
H: -2.7536 -2.2458 -1.0625  0.075
H: -1.0071 -2.8401 -0.8321  0.065
H: -2.8507 0.2462 -1.8471  0.072
H: -2.1009 -0.4566 -3.1958  0.054
H: -1.5149 0.9956 -2.5493  0.079
H: 2.0459 -1.1429 2.3286  0.112
H: 3.0003 -2.0784 1.2052  0.098
H: -0.4962 3.5403 -1.2204  0.132
H: -0.3380 2.8800 0.5510  0.111
H: -0.0628 -0.8715 -1.8735  0.151
H: 1.2134 -1.9795 -0.3460  0.160
H: 0.0184 -0.6804 1.7829  0.151
H: 0.5644 1.7530 -2.0878  0.083
H: 1.5502 1.4402 -0.8178  0.079

- lowest unoccupied orbital energy (alpha / beta) (eV) = -4.16 / -4.16
- total energy (Eh) = -559.3149
- E_HOMO (alpha / beta) (hartree) = -0.4545 / -0.4545
- net charge = +1
- HOMO-LUMO gap (alpha / beta) (eV) = 8.2 / 8.2
- ΔE to the lowest compared entry with this formula, charge and spin (kJ/mol) = 421.63
- strongest force on any atom (eV/A) = 4.476
- Trained 3,827 farmers directly and over 6,000 others indirectly.
- Availed over 100 mt of certified potato seed and 350 mt of clean seed multiplied by farmers using skills acquired from the project.
- Trained 95 lead farmers who cascade farmer-to-farmer extension, thereby supporting government extension personnel.
- 1,746 farmers (60% women) trained using the farmer field business school (FFBS) model and 4,300 beneficiaries were indirectly through various learning platforms, including field days, conferences, and agricultural fairs.
- A total of 50 trainers were trained as FFBS facilitators (39 lead farmers and 11 extension staff).
- The project has taken the lead in identifying challenges in late blight management and rallied partners to address the issue – first by convening private and public partners to develop an action plan that will help relevant government agencies provide guidance on blight management products that are allowed in the country.
- 31 farmers contracted to supply potato to two buyers. The project linked the farmers to Agri-wallet, a mobile-based financing platform.
- Assisted in the regulation of potato sales in Kenya, with the passing of the 2019 Crops (Irish Potato) Regulation, which requires weighing of all sales and limits bag size to 50 kg.